### Input
........
A plane-wave DFT calculation with GGA-PBE was carried out for TaTl2Co after structural relaxation.

a b c (Å): 4.922 4.922 3.164
angles (deg): 90.00 90.00 90.00
Each line ends with the local moment (μB).
Positions (direct):
Co: 0.500 0.000 0.500  1.37
Ta: 0.000 0.500 0.500  -0.02
Tl: 0.000 0.000 0.000  -0.01
Tl: 0.500 0.500 0.000  -0.01

Computed properties:
Total moment   0.31 μB per atom
Density of states at the Fermi level   6.2 states/eV per cell
Space group   P4/mmm (123)
E_form   775.1 meV per atom

~~~~~

Record 1
# PBE-GGA LiAl2Cu, optimized geometry
# Energy of formation from the pure elements: -0.14 eV/atom
# Crystal system: monoclinic
# E_tot: -14.0 eV for the cell shown
# M_tot: 0.0 μB/f.u.
data_LiAl2Cu
_chemical_formula_sum 'Li1 Al2 Cu1'
_cell_length_a 2.780
_cell_length_b 3.606
_cell_length_c 5.710
_cell_angle_alpha 90.00
_cell_angle_beta 90.15
_cell_angle_gamma 90.00
_symmetry_space_group_name_H-M 'P 1 2/m 1'
_symmetry_Int_Tables_number 10
_symmetry_space_group_name_Hall '-P 2y'
loop_
_atom_site_label
_atom_site_fract_x
_atom_site_fract_y
_atom_site_fract_z
Li1 0.000 0.000 0.000
Al1 0.499 0.500 0.743
Cu1 0.000 0.000 0.500

---

Record 2
# PBE-GGA LiAl2Cu, optimized geometry
# Energy of formation from the pure elements: -0.10 eV/atom
# Crystal system: orthorhombic
# E_tot: -27.8 eV for the cell shown
# M_tot: 0.0 μB/f.u.
data_LiAl2Cu
_chemical_formula_sum 'Li2 Al4 Cu2'
_cell_length_a 2.817
_cell_length_b 4.684
_cell_length_c 9.199
_cell_angle_alpha 90.00
_cell_angle_beta 90.00
_cell_angle_gamma 90.00
_symmetry_space_group_name_H-M 'I m m m'
_symmetry_Int_Tables_number 71
_symmetry_space_group_name_Hall '-I 2 2'
loop_
_atom_site_label
_atom_site_fract_x
_atom_site_fract_y
_atom_site_fract_z
Li1 0.000 0.000 0.000
Al1 0.000 0.500 0.225
Cu1 0.000 0.000 0.500

---

Record 3
# PBE-GGA LiAl2Cu2, optimized geometry
# Energy of formation from the pure elements: -0.21 eV/atom
# Crystal system: tetragonal
# Offset from the most stable computed form: 0.7 kJ/mol of atoms
# E_tot: -37.3 eV for the cell shown
# M_tot: 0.0 μB/f.u.
data_LiAl2Cu2
_chemical_formula_sum 'Li2 Al4 Cu4'
_cell_length_a 7.373
_cell_length_b 7.373
_cell_length_c 2.672
_cell_angle_alpha 90.00
_cell_angle_beta 90.00
_cell_angle_gamma 90.00
_symmetry_space_group_name_H-M 'P 4/m b m'
_symmetry_Int_Tables_number 127
_symmetry_space_group_name_Hall '-P 4 2ab'
loop_
_atom_site_label
_atom_site_fract_x
_atom_site_fract_y
_atom_site_fract_z
Li1 0.000 0.000 0.000
Al1 0.131 0.369 0.000
Cu1 0.168 0.668 0.500

---

Record 4
# PBE-GGA LiAl2Cu2, optimized geometry
# Energy of formation from the pure elements: -0.02 eV/atom
# Crystal system: tetragonal
# Offset from the most stable computed form: 19.8 kJ/mol of atoms
# E_tot: -35.3 eV for the cell shown
# M_tot: 0.0 μB/f.u.
data_LiAl2Cu2
_chemical_formula_sum 'Li2 Al4 Cu4'
_cell_length_a 3.513
_cell_length_b 3.513
_cell_length_c 12.566
_cell_angle_alpha 90.00
_cell_angle_beta 90.00
_cell_angle_gamma 90.00
_symmetry_space_group_name_H-M 'I 4/m m m'
_symmetry_Int_Tables_number 139
_symmetry_space_group_name_Hall '-I 4 2'
loop_
_atom_site_label
_atom_site_fract_x
_atom_site_fract_y
_atom_site_fract_z
Li1 0.000 0.000 0.000
Al1 0.000 0.000 0.396
Cu1 0.000 0.500 0.250

---

Record 5
# PBE-GGA LiAl4Cu3, optimized geometry
# Energy of formation from the pure elements: -0.16 eV/atom
# Crystal system: orthorhombic
# E_tot: -60.8 eV for the cell shown
# M_tot: 0.0 μB/f.u.
data_LiAl4Cu3
_chemical_formula_sum 'Li2 Al8 Cu6'
_cell_length_a 8.838
_cell_length_b 5.500
_cell_length_c 4.546
_cell_angle_alpha 90.00
_cell_angle_beta 90.00
_cell_angle_gamma 90.00
_symmetry_space_group_name_H-M 'P m m a'
_symmetry_Int_Tables_number 51
_symmetry_space_group_name_Hall '-P 2a 2a'
loop_
_atom_site_label
_atom_site_fract_x
_atom_site_fract_y
_atom_site_fract_z
Li1 0.000 0.000 0.000
Al1 0.000 0.254 0.500
Al2 0.250 0.252 0.114
Cu1 0.000 0.500 0.000
Cu2 0.250 0.000 0.606
Cu3 0.250 0.500 0.642

---

Record 6
# PBE-GGA Li2AlCu, optimized geometry
........

### Job
Filter the block further up: keep the lines with the word "LiAl2Cu2", please.

### Worked solution
# PBE-GGA LiAl2Cu2, optimized geometry
# PBE-GGA LiAl2Cu2, optimized geometry